Once a yoga teacher was trying to help my friend to go deeper in Samakonasana with the teacher’s body weight. My friend asked the teacher not to do that, but her request was somehow overlooked. Maybe the teacher was not in a good mood that day; maybe she had a great wish to help my friend. Who knows now? But the result of that was injury.
From this example, we can see that the question about asana assisting and alignment is very important in yoga teaching and I am afraid the answer is very contradictive. Different teachers, different yoga schools have different, sometimes even the opposite viewpoints on this subject. For example, the school of Ananda Yoga tradition does not allow new yoga teachers correct students at all. The same is true for some yoga schools in India, where teachers of classical Hatha Yoga usually do not correct students. Instead, they demonstrate everything themselves. They practice along with their students, achieve a special psycho-energy state, and then share the energy with the class.
On the contrary, some of the most popular yoga traditions in the western countries, such as Ashtanga Yoga, Rocket Yoga, Power Yoga, and Iyengar Yoga, emphasize proper alignments and provide corrections accordingly. Here, teachers like helping students and sometimes force them too harshly, in my personal experience. Please understand me correctly, I am not saying it is wrong or anything. But if we check out the social media, we see a lot of teachers who are trying to attract people’s attention using advanced asanas. They “scream” from the posters, “Hey guys, my workshop is coming! I will teach you to do the same!” To me, these adverts only show these teachers do not really understand the goal of yoga, turning yoga from an ancient philosophy and lifestyle into unhealthy competition.
Based on my personal practice, my practice with other teachers, and my teaching experience, I have set up some rules for myself:
# What comes next are calculated crystals, not part of the article
____________
1.
Entry from Alexandria via LeMat-Bulk: an optimized crystal structure of CaScTlIn (PBE).

Geometry as POSCAR:
```
CaScTlIn
1.0
-0.923 1.932 -4.813
-4.139 -1.708 -2.774
-4.118 3.181 -0.816
Ca Tl Sc In
1 1 1 1
Direct
0.500 0.500 0.500 Ca
0.250 0.250 0.250 Tl
0.000 0.000 0.000 Sc
0.750 0.750 0.750 In
```

Output
* magnetic moment: 0.00 Bohr magnetons per cell
* DFT formation energy: -340 meV per atom
* DOS at the Fermi energy: 0.674 states/eV per atom
* crystal system: cubic

---

2.
Entry from Alexandria via LeMat-Bulk: an optimized crystal structure of TiAu3Br (PBE).

Geometry as POSCAR:
```
TiAu3Br
1.0
5.057 0.000 0.000
0.000 5.057 0.000
0.000 0.000 5.057
Au Br Ti
3 1 1
Direct
0.000 0.000 0.500 Au
0.000 0.500 0.000 Au
0.500 0.000 0.000 Au
0.000 0.000 0.000 Br
0.500 0.500 0.500 Ti
```

Output
* magnetic moment: 0.01 Bohr magnetons per cell
* ΔE to the lowest computed polymorph: 0.556 eV/atom
* DOS at the Fermi energy: 2.182 states/eV per atom
* crystal system: cubic

---

3.
Entry from Alexandria via LeMat-Bulk: an optimized crystal structure of ScSn2Pd9 (PBE).

Geometry as POSCAR:
```
ScSn2Pd9
1.0
4.039 0.000 0.000
0.000 4.039 0.000
0.000 0.000 12.035
Pd Sn Sc
9 2 1
Direct
0.000 0.500 0.835 Pd
0.500 0.500 0.667 Pd
0.500 0.500 0.333 Pd
0.500 0.000 0.835 Pd
0.500 0.000 0.500 Pd
0.500 0.000 0.165 Pd
0.500 0.500 0.000 Pd
0.000 0.500 0.500 Pd
0.000 0.500 0.165 Pd
0.000 0.000 0.332 Sn
0.000 0.000 0.668 Sn
0.000 0.000 0.000 Sc
```

Output
* magnetic moment: 0.00 Bohr magnetons per cell
* DFT formation energy: -624 meV per atom
* DOS at the Fermi energy: 0.385 states/eV per atom
* crystal system: tetragonal


# 1
# La2PbS2

A relaxed structure of La2PbS2 (PBE-GGA, the Alexandria database).

Calculated values
As for the uncorrected formation energy: -1372.5 meV/atom. As for the space group: No. 127. The electronic total energy is -57.36 eV per cell. For the mass density, the calculation gives 7.1 g/cm3.

Unit cell a=8.3688 b=8.3688 c=3.6576 alpha=90.00 beta=90.00 gamma=90.00
Fractional positions:
1 La 0.1623 0.3377 0.0000
2 La 0.3377 0.8377 0.0000
3 La 0.6623 0.1623 0.0000
4 La 0.8377 0.6623 0.0000
5 Pb 0.0000 0.0000 0.5000
6 Pb 0.5000 0.5000 0.5000
7 S 0.1348 0.6348 0.5000
8 S 0.3652 0.1348 0.5000
9 S 0.6348 0.8652 0.5000
10 S 0.8652 0.3652 0.5000

# 2
# La2PbS

A relaxed structure of La2PbS (PBE-GGA, the Alexandria database).

Calculated values
As for the uncorrected formation energy: -1206.2 meV/atom. As for the space group: No. 123. The electronic total energy is -22.52 eV per cell. For the mass density, the calculation gives 7.9 g/cm3.

Unit cell a=3.6043 b=3.6043 c=8.3156 alpha=90.00 beta=90.00 gamma=90.00
Fractional positions:
1 La 0.0000 0.0000 0.2176
2 La 0.0000 0.0000 0.7824
3 Pb 0.5000 0.5000 0.5000
4 S 0.5000 0.5000 0.0000

# 3
# La4Pb2S

A relaxed structure of La4Pb2S (PBE-GGA, the Alexandria database).

Calculated values
____________
- Begin a class with a short breathing session and chanting Om three times to find the inner silence. It allows people in the room, including you as a teacher, to calm down. Also, use this time to observe and connect with the students. Try to understand the energy of every particular class and figure out what people really need today, instead of what you want to teach today.
Records of crystals, kept here for reference >
=====
No. 1
# Ac5Cd4Rh

An optimized crystal structure of Ac5Cd4Rh (PBE, Alexandria via LeMat-Bulk).

a = 3.9495 Å, b = 3.9495 Å, c = 20.5734 Å
α = 90.00°, β = 90.00°, γ = 90.00°
Fractional positions:
1 Ac 0.0000 0.0000 0.0000
2 Ac 0.0000 0.0000 0.2061
3 Ac 0.0000 0.0000 0.4159
4 Ac 0.0000 0.0000 0.5841
5 Ac 0.0000 0.0000 0.7939
6 Cd 0.5000 0.5000 0.1034
7 Cd 0.5000 0.5000 0.3079
8 Cd 0.5000 0.5000 0.6921
9 Cd 0.5000 0.5000 0.8966
10 Rh 0.5000 0.5000 0.5000

V: 321 Å³ per cell
Space group: No. 123
Raw total energy: -3.49 eV/atom


No. 2
# Mg3Zn3CuRh2

An optimized crystal structure of Mg3Zn3CuRh2 (PBE, Alexandria via LeMat-Bulk).

a = 7.4065 Å, b = 7.4065 Å, c = 2.9466 Å
α = 90.00°, β = 90.00°, γ = 120.00°
Fractional positions:
1 Mg 0.0000 0.7074 0.0000
2 Mg 0.2926 0.2926 0.0000
3 Mg 0.7074 0.0000 0.0000
4 Zn 0.0000 0.3809 0.5000
5 Zn 0.3809 0.0000 0.5000
6 Zn 0.6191 0.6191 0.5000
7 Cu 0.0000 0.0000 0.5000
8 Rh 0.3333 0.6667 0.0000
9 Rh 0.6667 0.3333 0.0000

V: 140 Å³ per cell
Space group: No. 189
Raw total energy: -3.29 eV/atom


no.,total magnetic moment (μB per formula unit),formation energy (kJ/mol of atoms)
1,0.03,-32.6
2,0.00,-23.2

=====

Sr3TmPb12 | PBE-GGA | optimized geometry

- N(E_F): 9.8 states/eV/cell
- Total DFT energy (no corrections): -3.694 eV/atom

Lattice parameters (Å, degrees): 4.9857 4.9857 19.9933 90.00 90.00 90.00
Space group P4/mmm (No. 123)
Inequivalent atoms, fractional coordinates:
1 Sr 0.0000 0.0000 0.0000
2 Sr 0.0000 0.0000 0.2553
3 Tm 0.0000 0.0000 0.5000
4 Pb 0.0000 0.5000 0.1267
5 Pb 0.0000 0.5000 0.3819
6 Pb 0.5000 0.5000 0.0000
7 Pb 0.5000 0.5000 0.2525
8 Pb 0.5000 0.5000 0.5000



NpGa4Ni2Rh | PBE-GGA | optimized geometry

- N(E_F): 29.3 states/eV/cell
- Total DFT energy (no corrections): -5.816 eV/atom

Lattice parameters (Å, degrees): 4.1191 4.1191 26.2966 90.00 90.00 120.00
Space group R-3m (No. 166, hexagonal axes)
Inequivalent atoms, fractional coordinates:
1 Np 0.0000 0.0000 0.0000
2 Ga 0.0000 0.0000 0.1283
3 Ga 0.0000 0.0000 0.4011
4 Ni 0.0000 0.0000 0.2312
5 Rh 0.0000 0.0000 0.5000

=====

[1]
First-principles (PBE) data for a relaxed structure of KTa2Re, as listed in the Alexandria database.

Cell and atoms, written as CIF:
```
data_KTa2Re
_chemical_formula_sum 'K1 Ta2 Re1'
_cell_length_a 4.819
_cell_length_b 4.819
_cell_length_c 3.228
_cell_angle_alpha 90.00
_cell_angle_beta 90.00
_cell_angle_gamma 90.00
_symmetry_space_group_name_H-M 'P 4/m m m'
_symmetry_Int_Tables_number 123
_symmetry_space_group_name_Hall '-P 4 2'
loop_
_atom_site_label
_atom_site_type_symbol
_atom_site_fract_x
_atom_site_fract_y
_atom_site_fract_z
K1 K 0.000 0.000 0.000
Ta1 Ta 0.000 0.500 0.500
Re1 Re 0.500 0.500 0.000
```

Properties
The value obtained for the formation energy is 1.441 eV per atom. Its crystal system is tetragonal.

=====

[2]
First-principles (PBE) data for a relaxed structure of Co3PtS, as listed in the Alexandria database.

Cell and atoms, written as CIF:
```
data_Co3PtS
_chemical_formula_sum 'Co3 Pt1 S1'
=====
- Practice with the students and provide options for different students. It allows to understand “the temperature” of the class (this is how I call it).
- Do not allow beginners to attend advanced classes. If they insist, always keep an eye on them.
- Correct students (1) when they are in danger; (2) when they are struggling with the props; (3) when they have difficulties with right and left. Besides that, it is great to let people explore and be connected with their bodies.
- End the class with a short breathing session, Om chanting and appreciation to the students in the class. Remember your students are your closest teachers at the same time.
In conclusion, I would like to say that even though the answer to asana assisting and alignments in yoga teaching is contradictive, all yoga teachers need to take care of their students. Instead of pushing people, share a holistic path with them to achieve the goal of yoga. Instead of damage, follow the ideas of creation and development. Om!